I have the means and ability to raise children to be happy so why not

(from common pro-natalist excuses).

Because you don’t. Not really. There is no way for parents to raise their children without harming them somehow and without them being harmed by other things somehow. Even diligent and thorough preliminary learning, a huge investment in children when they already exist, patience and endless giving, will not prevent harms from being caused to children.

It is not clear exactly what people mean when they make such claims, it is very possible that they are referring mainly to material means, but this is the bare minimum and certainly very far from satisfying the multitude of needs at every stage of life. And if they’re referring to mental and emotional means, then no one has the necessary tools to ensure happiness for their children, for the simple reason that no one knows what is really needed at any given moment in order to ensure it.

<<<
{
  "formula": "C9H21BF2NiS3Sb2",
  "method": "the ωB97M-V functional and the def2-TZVPD basis",
  "multiplicity": 2,
  "total_charge": -1,
  "homo_lumo_gap_ev": [6.27, 6.28],
  "molar_mass_g_mol": 576.49,
  "total_energy_ev": -102415.29896,
  "elements": ["Ni", "S", "Sb", "S", "S", "F", "B", "F", "C", "C", "C", "Sb", "C", "C", "C", "C", "C", "C", "H", "H", "H", "H", "H", "H", "H", "H", "H", "H", "H", "H", "H", "H", "H", "H", "H", "H", "H", "H", "H"],
  "positions_angstrom": [[-0.1522, 0.1595, -0.2658], [-3.5934, -2.4689, -0.7745], [-2.0337, -1.6005, -2.1586], [-1.8607, 0.7584, -1.5450], [0.2122, -1.9796, -0.8423], [1.0907, -0.9452, 1.4542], [-0.1200, -1.4466, 0.9169], [-0.8133, -2.0764, 1.8614], [-0.7725, 4.5493, -0.8726], [-0.1564, 4.3685, 0.5143], [0.7175, 5.5507, 0.9228], [0.7660, 2.4188, 0.5530], [1.9966, 2.5802, -1.2348], [2.8885, 3.8042, -1.4293], [2.8303, 1.3065, -1.3735], [2.1842, 2.4489, 2.1806], [3.4267, 3.3194, 2.0488], [1.4137, 2.7736, 3.4620], [-1.4086, 5.4397, -0.8879], [-1.3815, 3.6917, -1.1681], [-0.0014, 4.6825, -1.6344], [-0.9656, 4.2867, 1.2455], [1.6287, 5.6266, 0.3309], [1.0118, 5.4954, 1.9718], [0.1590, 6.4832, 0.7867], [1.2302, 2.5881, -2.0154], [3.6872, 3.8580, -0.6902], [2.3361, 4.7428, -1.3964], [3.3647, 3.7489, -2.4146], [3.5782, 1.2336, -0.5779], [3.3606, 1.3079, -2.3312], [2.2288, 0.3948, -1.3405], [2.4907, 1.4002, 2.2297], [3.1811, 4.3774, 1.9390], [4.0392, 3.0249, 1.1974], [4.0480, 3.2172, 2.9457], [1.0441, 3.8021, 3.4609], [2.0575, 2.6564, 4.3391], [0.5539, 2.1134, 3.5966]],
  "mulliken_charge": [0.05, -0.70, 0.31, -0.57, -0.54, -0.28, 0.64, -0.18, -1.28, 0.21, -1.21, 0.66, 0.25, -1.33, -1.28, 0.29, -1.23, -1.47, 0.46, 0.23, 0.24, 0.38, 0.15, 0.22, 0.46, 0.42, 0.16, 0.20, 0.48, 0.23, 0.43, 0.25, 0.38, 0.20, 0.22, 0.49, 0.23, 0.43, 0.39]
}

----------

1.
87
Properties=species:S:1:pos:R:3:forces:R:3:lowdin_spin:R:1 method="wB97M-V/def2-TZVPD" energy_ha=-7428.976886 de_lowest_kj_mol=52.1 spin_multiplicity=2 charge=+4 gap_ha="0.27335 / 0.22374"
W -0.2927 0.8905 0.4321 -0.1914 -0.5778 -0.9440 0.622
C 4.2286 2.0706 1.0293 0.0071 -0.0044 0.0083 0.001
C 3.2446 2.8327 0.1571 -0.0484 0.0814 -0.1750 0.002
C 3.3479 4.3570 0.4548 0.0092 0.0013 -0.0116 0.003
C 1.7787 2.5727 0.3554 0.0295 -0.0790 0.4049 0.021
C 0.8383 2.8608 -0.6481 -0.1236 0.1631 0.1818 0.026
C -0.5188 3.1380 -0.3466 0.1135 0.4261 0.0949 0.032
C -0.9325 3.2938 0.9967 -0.0950 -0.0236 -0.0896 0.001
C -2.1774 4.0193 1.3598 0.0460 0.0219 -0.0023 0.000
C -0.0883 2.7053 1.9529 0.1270 0.0946 0.0301 0.005
C 1.2176 2.2558 1.6173 0.1205 0.4688 0.2638 0.007
H 5.2291 2.4531 0.8313 0.0027 -0.0006 0.0122 0.000
H 4.2420 1.0033 0.8274 -0.0037 0.0082 -0.0073 0.000
H 4.0413 2.2222 2.0943 -0.0032 0.0044 -0.0013 0.000
H 3.4820 2.7042 -0.9021 0.0108 -0.0256 0.0092 0.000
H 3.1667 4.5579 1.5121 -0.0063 0.0066 -0.0044 0.000
H 2.6613 4.9558 -0.1447 0.0043 -0.0103 -0.0130 0.000
H 4.3620 4.6773 0.2177 0.0018 -0.0057 0.0107 0.001
H 1.1727 2.9920 -1.6672 0.0236 -0.0778 -0.0267 -0.001
>>>

And even if you specifically had all the necessary tools in all possible respects (even though this point is hypothetical it is difficult for us to even write it seriously because the spectrum is so broad that it is clear that no one can meet such a criterion), the rest of the world does not. There are so many ways to get hurt out there, that no one without exception including very talented and devoted people can constantly protect their children from any potential harm. And there are real dangers out there that can scar people for life if not destroy them. The intuitive thought is perhaps atrocities such as kidnapping, sexual exploitation, murder or abuse. But even much less unusual and very common cases may harm people for life.
The world is organized and managed in such a way that no one can really be happy. If there is a way, it is probably only a total disconnection and a thorough purging of every will, desire and cause of disturbance. But no one wants to have children in order for them to be separated from him/her. Besides, you have to stop for a moment and think about it, what does it mean about the world and life that only an almost total detachment from it can bring happiness? What does it say about the world if only those who manage to neutralize reality and enter a completely disconnected state of consciousness where they don’t really feel anything, don’t want anything, don’t regret anything, don’t expect anything, but are simply there, only then can you start talking in terms of happiness? This is an indictment for the world, and even more so for those who insist on throwing more and more people into it.
And this disconnection, in addition to the fact that parents do not want children in this situation, is also a terrible testimony about life because someone who can be happy in such an ugly world cannot really be a beautiful person. You have to be super egocentric in order to ignore all the horrors, turn inward and feel peace despite everything.

But even if the chances of happiness were very high, the mere fact that there is a risk of an unhappy life is a sufficient reason to avoid reproduction.
Because no one needs, wants, or must exist before being created, because no one has an interest in existing before existence is forced upon them, because no one is in another world hoping that they will finally be brought into this world, because there is no other world outside of existence, and there is no other state of existence outside of life, no one waits, needs or wants to exist before existence is forced upon them, it is sufficient that there is a potential danger of unhappiness in order to avoid the creation of people. All of this is important in general, is very important in relation to reproduction, and in particular in the context of this specific excuse because since that is the face of things, everyone who exists was created because someone else wanted it to happen, because it was in someone else’s interest, maybe many others, but necessarily not of the one who was created because they did not exist before they were forced to exist. So basically reproduction is people deciding to take a risk on someone else’s life. People want to create someone who, at least before being created, did not want to be created for the simple reason that they did not exist and therefore was not in a position to want or not want anything, and there is a risk that this someone will be unhappy. So the breeders are taking a risk on someone else’s life. Statistics are not a decisive factor in this matter. That is, of course it matters a lot what someone’s chance of being unhappy is, but it is not a decisive factor because there is no way to know what someone’s chance of being happy is, and because it is sufficient that there is some chance of unhappiness for reproduction to be morally wrong. And again it is important to mention that it is not in the interest of the created person to be created. If it were, only then it would be possible to weigh the possibility of unhappiness and happiness against the interest of people to be created. But since there is no such interest, and since there is no harm to anyone who was not created, no one is deprived or lacking, it is a risk at the expense of others without any justification.

Inserted here: data records:
=====
Record 1
A 2-piece molecular cluster, C6H14ClN2 overall at a distorted geometry, computed with the ωB97M-V functional and the def2-TZVPD basis.

Each line ends with the Mulliken charge.
Atoms and positions in Å:
C  0.1144  1.2966  -1.1046  -0.5826
C  -0.5814  -0.0612  -1.3579  -0.4844
C  0.8920  -0.2874  0.3822  -0.4403
C  1.9307  1.9625  0.3952  -1.0767
C  -1.4361  -0.4111  1.0177  -1.0622
C  -0.4482  -2.3453  -0.1215  -0.8116
N  0.8371  1.0726  0.1989  0.1619
N  -0.4746  -0.8063  -0.0930  0.1128
Cl  2.3755  -1.1576  -0.2055  -0.0793
H  0.8494  1.4677  -1.9912  0.3235
H  -0.6709  2.0002  -0.8802  0.3810
H  -1.7008  -0.1037  -1.5697  0.3745
H  0.0574  -0.4030  -2.2087  0.3256
H  0.9833  -0.5068  1.9962  0.3095
H  1.7712  2.9369  0.8505  0.3382
H  2.4496  1.5720  1.2083  0.4458
H  2.7071  1.9768  -0.3886  0.3823
H  -1.1046  -0.6989  1.9359  0.4842
H  -1.4429  0.6136  1.1448  0.4490
H  -2.2906  -0.9676  0.7991  0.3910
H  -1.5596  -2.5872  -0.1450  0.3753
H  -0.0017  -2.4792  -1.1401  0.3720
H  0.0695  -2.8199  0.7913  0.3106

- LUMO energy: -0.1224 hartree
- 2S+1: 1
- E_HOMO: -13.369 eV
- Maximum force: 5.9 eV/Å
- Total energy: -806.3192 Ha
- Charge: +1
- Energy relative to the best compared isomer or geometry (same formula, charge and spin): 238.54 kJ/mol
- HOMO-LUMO gap: 10.04 eV



Record 2
A 3-piece molecular cluster, C15H23BO6 overall at a distorted geometry, computed with the ωB97M-V functional and the def2-TZVPD basis.

Each line ends with the Mulliken charge.
Atoms and positions in Å:
C  -2.5403  -2.0619  2.1605  -0.6663
C  -1.9695  -1.0057  1.2966  -0.4144
C  -2.7150  -0.8291  -0.1013  0.3143
C  -3.1972  0.3225  -0.7809  0.5213
B  -3.0371  1.8646  -0.2956  0.2528
C  -1.8915  2.7337  -1.1127  -0.7857
O  -3.8065  2.5055  0.7366  -0.5356
C  -3.9342  -0.3330  -2.0349  0.4348
O  -4.3292  0.2802  -3.0380  -0.5219
O  -4.0827  -1.7360  -1.7550  -0.2691
C  -2.9642  -2.1555  -0.9588  0.1435
O  -2.4119  -3.2634  -0.9535  -0.4610
H  -3.4797  -1.8588  2.7713  0.2595
H  -2.0214  -3.0760  2.1173  0.2219
H  -1.1230  -0.3618  1.6865  0.4205
H  -1.8038  2.2225  -2.1443  0.2412
H  -0.8786  2.7353  -0.5798  0.2127
H  -2.2168  3.8125  -1.3039  0.2732
H  -3.4912  2.2546  1.6334  0.3248
C  1.1595  -5.4275  -0.2713  -0.5447
C  2.2294  -4.4290  0.1107  -0.5450
C  1.4047  -3.2615  0.6156  -0.4339
O  0.2044  -3.8121  1.1737  -0.2807
C  0.1137  -5.1938  0.8003  -0.3926
H  1.5127  -6.4596  -0.3036  0.3412
H  0.7499  -5.1745  -1.2547  0.2539
H  2.8413  -4.8337  0.9237  0.2581
H  2.8924  -4.1579  -0.7127  0.3275
H  1.1177  -2.5934  -0.2036  0.2343
H  1.9278  -2.6759  1.3754  0.2775
H  0.3181  -5.7960  1.6926  0.2948
H  -0.8985  -5.4155  0.4547  0.2342
C  3.2718  5.2805  0.2201  -0.5199
C  2.9140  4.7246  -1.1396  -0.5496
C  2.6839  3.2585  -0.8303  -0.3420
O  2.1977  3.1890  0.5187  -0.3784
C  2.3768  4.4712  1.1372  -0.4197
H  3.1128  6.3563  0.3108  0.3248
H  4.3231  5.0695  0.4423  0.2645
H  1.9845  5.1819  -1.4944  0.2497
H  3.6836  4.8847  -1.8965  0.3398
=====

Even if the great majority of people were happy and only a small minority were unhappy, since no one would be harmed or lack anything if they were not created, there is no harm in preventing the creation of happy people. But it is clear that there is harm in the creation of unhappy people. It is therefore clear that it is better to avoid creating people. This guarantees the prevention of all the harms of anyone who would have been created, and it cannot harm someone who was not created because someone who was not created cannot be harmed or feel deprived or unfulfilled. S/he who is not created does not exist in any way, therefore s/he can’t be deprived of anything. There is nothing wrong with preventing positive experiences that no one lacks. On the other hand, having negative experiences is by definition a bad thing.

Below is C11H10O in the gas phase at a distorted geometry, with properties calculated with wB97M-V/def2-TZVPD.

```
! RIJCOSX wB97M-V def2-TZVPD def2/J DEFGRID3
* xyz 0 1
C 3.731 -0.918 0.823
C 2.950 -0.347 0.083
C -2.943 -0.815 0.143
C -2.873 0.572 0.399
C -1.770 -1.442 -0.140
C -1.708 1.264 0.363
C -0.567 -0.710 -0.264
C -0.511 0.631 0.072
C 0.832 -1.200 -0.401
C 1.720 0.006 -0.512
C 0.872 1.221 0.076
O 1.145 2.377 -0.699
H 4.690 -1.209 1.140
H -3.906 -1.205 0.138
H -3.846 1.105 0.712
H -1.754 -2.461 -0.199
H -1.826 2.435 0.427
H 1.158 -1.611 0.594
H 1.053 -1.903 -1.285
H 1.925 0.329 -1.556
H 1.231 1.215 1.212
H 0.397 2.666 -1.125
*
```

- Orbital gap: 10.011 eV
- Energy relative to the best compared isomer or geometry (same formula, charge and spin): 316.7 kJ/mol
- Lowest unoccupied orbital energy: 0.88 eV
- HOMO: -9.1328 eV
- E: -13613.296 eV

----------

No. 1
Entry from the Open Molecules 2025 dataset: 3 unconnected molecules or ions with the total composition C21H44Br2F3N3O7 (wB97M-V/def2-TZVPD).

The geometry in ORCA input format:
```
! RIJCOSX wB97M-V def2-TZVPD def2/J DEFGRID3
* xyz 0 1
C 2.11 3.33 2.89
O 1.69 4.32 1.98
C 0.49 4.99 2.28
C -0.71 4.45 1.53
C -0.74 2.95 1.40
O -1.89 2.62 0.63
C -1.99 1.43 0.00
O -3.05 0.79 0.08
N -0.92 1.04 -0.83
C -0.02 0.04 -0.24
C 1.45 0.14 -0.66
C 1.76 0.79 -2.00
F 0.85 0.44 -2.94
Br 3.49 -0.01 -2.53
C 1.91 2.34 -1.98
F 2.64 2.67 -0.90
F 0.70 2.92 -1.87
Br 2.72 3.16 -3.58
H 2.44 2.46 2.33
H 1.30 3.01 3.54
H 2.93 3.69 3.49
H 0.63 6.03 2.01
H 0.31 4.97 3.35
H -1.59 4.74 2.09
H -0.79 4.87 0.54
H 0.18 2.61 0.95
H -0.85 2.50 2.37
H -1.34 0.69 -1.68
H -0.39 -0.95 -0.44
H -0.08 0.17 0.83
H 1.79 -0.88 -0.76
H 2.06 0.57 0.12
C -6.92 -3.36 -5.53
O -7.34 -2.02 -5.38
C -7.93 -1.72 -4.12
C -7.05 -0.80 -3.31
N -5.84 -1.46 -2.87
C -4.85 -0.58 -2.25
C -4.22 0.50 -3.12
O -3.37 0.02 -4.15
C -4.01 -0.32 -5.36
H -6.62 -3.49 -6.57
H -6.06 -3.60 -4.89
H -7.73 -4.06 -5.31
H -8.13 -2.64 -3.56
H -8.88 -1.23 -4.31
H -7.61 -0.46 -2.43
H -6.85 0.09 -3.93
H -5.41 -1.93 -3.66
H -4.04 -1.21 -1.88
H -5.30 -0.11 -1.38
H -3.57 1.10 -2.46
H -4.96 1.19 -3.53
H -4.88 0.32 -5.55
H -4.32 -1.36 -5.39
H -3.29 -0.16 -6.17
C 7.48 -3.27 2.69
O 6.24 -3.74 3.18
C 6.06 -3.58 4.58
C 4.98 -2.57 4.87
N 5.40 -1.22 4.52
C 4.35 -0.21 4.58
C 3.18 -0.35 3.62
O 3.51 -0.16 2.26
C 3.97 -1.32 1.57
H 7.56 -3.57 1.65
H 7.56 -2.17 2.75
H 8.32 -3.70 3.25
H 7.00 -3.30 5.07
H 5.75 -4.55 4.98
H 4.75 -2.59 5.94
H 4.08 -2.88 4.33
H 5.79 -1.24 3.58
H 4.82 0.76 4.38
H 3.96 -0.18 5.60
H 2.47 0.45 3.86
H 2.64 -1.29 3.75
H 3.49 -2.23 1.96
H 5.05 -1.43 1.62
H 3.70 -1.20 0.52
*
```

Calculated values
HOMO energy, eV: -8.4
DFT total energy, eV: -189526.8539

No. 2
Entry from the Open Molecules 2025 dataset: 3 unconnected molecules or ions with the total composition C21H44ClN3O3P (wB97M-V/def2-TZVPD).

The geometry in ORCA input format:
```
! RIJCOSX wB97M-V def2-TZVPD def2/J DEFGRID3
* xyz -1 3
C -8.23 -4.36 5.86
C -8.04 -4.08 4.38
N -7.14 -2.93 4.23
C -7.92 -1.70 3.92

No one has the means and ability to ensure that their children will be happy. On the other hand, everyone has the means and the ability to ensure that their children will not be unhappy by not creating them.
There are no means to guarantee happy children. On the other hand, there are means to prevent unhappy children – contraception.